HP 3PAR StoreServ Storage Concepts Guide (OS 3.1.2 MU2) (QR482-96384, June 2013)

drive mount A metal bracket used to secure a physical disk to a drive magazine. Each disk must be secured
by two drive mounts.
encryption key A cryptographic key that is not exposed outside of the drive itself. The encryption key is used to
encrypt and decrypt all data stored on a drive.
ESI Enclosure Services Interface. Interface on the DC2 and DC4 drive cages through which the node
software communicates to the cage enclosure services controller to obtain enclosure and cage
status and control the cage behaviors.
event A detectable system occurrence.
(Next to the entry, the page also holds materials data)
- - -
(1)
Density functional theory data (PBE) for a relaxed AgP3 crystal.

Cell: 5.506 5.506 6.403 Å, 90.00 90.00 120.00°
Atoms (fractional coordinates):
Ag 0.333 0.667 0.250
Ag 0.667 0.333 0.750
P 0.132 0.264 0.750
P 0.132 0.868 0.750
P 0.264 0.132 0.250
P 0.736 0.868 0.750
P 0.868 0.132 0.250
P 0.868 0.736 0.250

Properties
- Formation energy: 594.1 meV/atom
- Volume: 84.03 Å³/f.u.
- M_tot: 0.0000 μB/atom

(2)
Density functional theory data (PBE) for a relaxed AcAg2AsP crystal.

Cell: 7.727 7.727 7.727 Å, 130.60 130.60 72.45°
Atoms (fractional coordinates):
Ac 0.000 0.000 0.000
Ac 0.500 0.500 0.000
Ag 0.040 0.540 0.159
Ag 0.381 0.881 0.841
Ag 0.540 0.381 0.500
Ag 0.881 0.040 0.500
As 0.029 0.529 0.500
As 0.529 0.029 0.500
P 0.261 0.261 0.000
P 0.761 0.761 0.000

Properties
- Formation energy: -398.7 meV/atom
- Volume: 129.98 Å³/f.u.
- M_tot: 0.0000 μB/atom

(3)
Density functional theory data (PBE) for a relaxed Li8Cd2Ag3 crystal.

Cell: 7.414 7.414 5.532 Å, 105.95 105.95 60.53°
Atoms (fractional coordinates):
Li 0.075 0.693 0.347
Li 0.105 0.105 0.172
Li 0.307 0.925 0.653
Li 0.311 0.311 0.069
Li 0.689 0.689 0.931
Li 0.693 0.075 0.347
Li 0.895 0.895 0.828
Li 0.925 0.307 0.653
Cd 0.299 0.299 0.583
Cd 0.701 0.701 0.417
Ag 0.312 0.688 0.000
Ag 0.500 0.500 0.500
Ag 0.688 0.312 0.000

Properties
- Formation energy: -78.2 meV/atom
- Volume: 250.95 Å³/f.u.
- M_tot: 0.0000 μB/atom

(4)
Density functional theory data (PBE) for a relaxed Ac2PmSm3Se6 crystal.

Cell: 7.387 7.387 7.455 Å, 99.52 99.52 120.21°
Atoms (fractional coordinates):
Ac 0.166 0.834 0.000
Ac 0.834 0.166 0.000
Pm 0.500 0.500 0.000
Sm 0.000 0.000 0.500
Sm 0.330 0.670 0.500
Sm 0.670 0.330 0.500
Se 0.088 0.413 0.738
Se 0.265 0.265 0.267
Se 0.413 0.088 0.738
Se 0.587 0.912 0.262
Se 0.735 0.735 0.733
Se 0.912 0.587 0.262

Properties
- Uncorrected formation energy: -176 kJ/mol of atoms
- Volume: 331.62 Å³/f.u.
- M_tot: 0.0000 μB/atom

(5)
Density functional theory data (PBE) for a relaxed Ti3MoPd crystal.

Cell: 4.665 4.665 4.665 Å, 90.00 90.00 90.00°
Atoms (fractional coordinates):
Ti 0.000 0.000 0.500
Ti 0.000 0.500 0.000
Ti 0.500 0.000 0.000
Mo 0.000 0.000 0.000
Pd 0.500 0.500 0.500

Properties
- Formation energy: 759.4 meV/atom
- Volume: 101.55 Å³/f.u.
- M_tot: 0.1040 μB/atom
- - -
export To present a virtual volume to a host. Exporting makes a volume available to a host by creating
an association between the volume's name and a LUN (logical unit number) for the specified host
and port.
Fast Class Drive type: either Fibre Channel or Serial Attached SCSI (SAS). With regard to drive types and
drive capacities, the abbreviation FC applies to Fast Class. With regard to ports, the abbreviation
FC applies to Fibre Channel only.
FC-AL Fibre Channel Arbitrated Loop. A fast serial bus interface standard used to connect storage
devices to servers.
Fibre Channel
A Fibre Channel PCI host bus adapter (HBA) located in a controller node. The Fibre Channel
adapter connects a controller node to a host or to a drive chassis.
fully provisioned
virtual volume
A virtual volume (snapshot) with a set amount of user space and for which snapshot administration
space and snapshot data space draw resources from a Common Provisioning Group (CPG).
Gigabit Ethernet
A network adapter located in a controller node. The Gigabit Ethernet adapter connects a controller
node to a network in order to transfer data via the network.
grow To increase the size of a virtual volume or CPG.
growth increment The unit of storage space by which the system creates and allocates additional logical disks to
a Common Provisioning Group (CPG) when the volumes in that CPG require additional resources.
The minimum growth increment varies according to the number of controller nodes in the system
(from 8 GB for a two-node system to 32 GB for a eight-node system).
growth limit An optional setting that enables you to specify the maximum size to which a CPG can grow.
growth warning An optional setting that enables you to specify the size at which the system alerts you to the
amount of CPG growth.
host A path or set of paths, defined as either WWN or iSCSI names, to one or more ports on a system.
host definition The name of the host and the list of the paths (WWN or iSCSI) assigned to the host, if any. If
you remove all the paths assigned to the host, the host name becomes the host definition.
host-sees VLUN
A VLUN template that allows a specified host connected to any port to see a virtual volume as a
specified LUN (logical unit number).
HP 3PAR Recovery
Manager Software
A data-protection solution that provides restore operations for a variety of platforms, such as
Oracle, SQL Server, Exchange, and more.
HP 3PAR Remote
Copy Software
Software that enables you to create and continually update backup remote copies of virtual
volumes and use those copies for disaster recovery, if necessary.
HP 3PAR System
Tuner Software
The utility that enables the system to reallocate space usage in order to take advantage of
additional resources, such as added hardware or updated CPGs. The System Tuner identifies
underused chunklets and overused volumes, and balances the usage.
HP 3PAR Thin
Software that enables you to create a virtual volume that allocates resources from the CPG on
demand and in small increments.
HP 3PAR Virtual
Copy Software
Software that enables you to create virtual copies (aka snapshots) of virtual volumes. To create
a virtual copy, the system uses the copy-on-write technique, which creates an up-to-date snapshot
at the same time as data is written to the host.
HP 3PAR Virtual
Domains Software
Software that enables you to create distinct domains with domain-specific users and objects.
88 Glossary